Page 38 of Lost In Seoul

“Aw.” Kwan, the main rapper starts to chuckle.

“What?” I ask. “What’s funny?”

“Oh, you.” Kwan responds, taking a shot of tequila. “Feeling yourself suddenly? Didn’t they put you in a pink bow last year… like on purpose?”

“I like pink.” My only response. So lame.

He jerks his head toward me. “You gay man? You ever even touched a girl? No judgement, it’s just good to know where you’re at.”

Okay now he’s being homophobic, I dart toward him only to have Jay of all people pull me back with his hand. “Let’s go for it, but don’t be pissed when your game sucks.”

# Attached: records of crystals
'''
The following is a DFT calculation (PBE-GGA) of a relaxed structure of Na6Mg2Ti6Si5S7O48.

Summary:
**Energy**: -1545.229 eV/cell

```
data_Na6Mg2Ti6Si5S7O48
_chemical_formula_sum 'Na18 Mg6 Ti18 Si15 S21 O144'
_symmetry_space_group_name_H-M 'P 1'
_symmetry_Int_Tables_number 1
_cell_length_a 8.797
_cell_length_b 15.113
_cell_length_c 22.468
_cell_angle_alpha 89.96
_cell_angle_beta 89.98
_cell_angle_gamma 89.99
loop_
_symmetry_equiv_pos_as_xyz
'x,y,z'
loop_
_atom_site_label
_atom_site_type_symbol
_atom_site_fract_x
_atom_site_fract_y
_atom_site_fract_z
Na1 Na 0.000 0.000 0.000
Na2 Na 0.000 0.660 0.830
Na3 Na 0.001 0.666 0.330
Na4 Na 0.005 0.995 0.493
Na5 Na 0.007 0.325 0.165
Na6 Na 0.008 0.336 0.665
Na7 Na 0.192 0.173 0.750
Na8 Na 0.309 0.674 0.253
Na9 Na 0.493 0.823 0.662
Na10 Na 0.494 0.834 0.167
Na11 Na 0.498 0.500 0.991
Na12 Na 0.501 0.161 0.334
Na13 Na 0.501 0.165 0.825
Na14 Na 0.502 0.503 0.500
Na15 Na 0.639 0.006 0.750
Na16 Na 0.671 0.311 0.752
Na17 Na 0.832 0.811 0.255
Na18 Na 0.865 0.506 0.253
Mg1 Mg 0.002 0.000 0.850
Mg2 Mg 0.004 0.664 0.187
Mg3 Mg 0.006 0.995 0.359
Mg4 Mg 0.496 0.496 0.858
Mg5 Mg 0.499 0.164 0.687
Mg6 Mg 0.500 0.500 0.352
Ti1 Ti 0.001 0.663 0.677
Ti2 Ti 0.004 0.326 0.315
Ti3 Ti 0.012 0.339 0.808
Ti4 Ti 0.019 0.998 0.143
Ti5 Ti 0.023 0.998 0.650
Ti6 Ti 0.483 0.498 0.642
Ti7 Ti 0.487 0.502 0.153
Ti8 Ti 0.489 0.828 0.523
Ti9 Ti 0.490 0.836 0.313
Ti10 Ti 0.502 0.823 0.811
Ti11 Ti 0.502 0.827 0.020
Ti12 Ti 0.508 0.158 0.983
Ti13 Ti 0.509 0.158 0.181
Ti14 Ti 0.511 0.156 0.474
Ti15 Ti 0.993 0.658 0.973
Ti16 Ti 0.997 0.666 0.486
Ti17 Ti 0.999 0.328 0.520
Ti18 Ti 0.999 0.329 0.018
Si1 Si 0.140 0.517 0.580
Si2 Si 0.141 0.813 0.583
Si3 Si 0.143 0.856 0.252
Si4 Si 0.150 0.472 0.918
Si5 Si 0.207 0.492 0.254
Si6 Si 0.295 0.993 0.754
Si7 Si 0.353 0.972 0.419
Si8 Si 0.360 0.015 0.081
Si9 Si 0.363 0.357 0.752
Si10 Si 0.644 0.684 0.917
Si11 Si 0.649 0.644 0.254
Si12 Si 0.709 0.663 0.583
Si13 Si 0.797 0.164 0.083
Si14 Si 0.856 0.142 0.752
Si15 Si 0.858 0.184 0.417
S1 S 0.149 0.185 0.917
S2 S 0.150 0.142 0.250
S3 S 0.212 0.164 0.581
S4 S 0.213 0.830 0.918
S5 S 0.290 0.331 0.418
S6 S 0.292 0.662 0.082
S7 S 0.352 0.640 0.751
S8 S 0.354 0.685 0.417
S9 S 0.359 0.308 0.082
S10 S 0.642 0.349 0.250
S11 S 0.645 0.974 0.917
S12 S 0.646 0.309 0.582
S13 S 0.649 0.018 0.583
S14 S 0.712 0.326 0.916
S15 S 0.714 0.001 0.250
S16 S 0.787 0.826 0.416
S17 S 0.789 0.502 0.751
S18 S 0.853 0.517 0.082
S19 S 0.856 0.808 0.082
S20 S 0.857 0.475 0.416
S21 S 0.860 0.848 0.751
O1 O 0.051 0.898 0.305
O2 O 0.060 0.909 0.591
O3 O 0.063 0.570 0.927
O4 O 0.064 0.426 0.860
O5 O 0.067 0.418 0.573
O6 O 0.067 0.763 0.525
O7 O 0.068 0.562 0.640
O8 O 0.077 0.232 0.255
O9 O 0.078 0.097 0.917
O10 O 0.080 0.104 0.194
O11 O 0.084 0.231 0.971
O12 O 0.088 0.757 0.240
O13 O 0.095 0.403 0.258
O14 O 0.095 0.412 0.976
O15 O 0.099 0.575 0.240
O16 O 0.111 0.244 0.575
O17 O 0.112 0.919 0.191
O18 O 0.113 0.084 0.585
O19 O 0.113 0.580 0.523
O20 O 0.113 0.908 0.914
O21 O 0.114 0.748 0.641
'''
# So much for the records of crystals

Suho rolls his eyes while Eric looks between all of us like he was just trying to make friends, when we all know that we will never be friends. None of us will ever be brothers, friends, we’re just label mates and that’s even a stretch. Every label in Korea builds off of successful groups and tries to mimic them to become the next big thing, using the same formula, I wonder how exhausting that must be when you’re the one doing it, because it’s already exhausting being the one experiencing it.

Kai clears his throat. “Let’s play never have I ever… each person gets a shot in front of them, we play only one round so we don’t die from alcohol poisoning, fill the shots halfway, if you haven’t done it you don’t drink, if you have you do, simple, right? Each person gets to say one statement or question.”

Chul’s the first to say something. “Well, that means I get to go first since nobody else has said anything during this extremely comfortable five second silence.”

Kwan speaks up first. “I hate everyone here including my own bandmates.”

“Aw, I feel warm now, in my soul,” Lucas says under his breath. “All right so apparently you are first now, have at it, hater who’s gonna hate.”

Kwan shrugs. “Never have I ever lied to management.”

Lucas looks at me, I look at him, then at Kai and Rae, finally Jay just looks down at his feet while we all silently take a shot.

The other guys just smirk at us.

Okay, perfect, we’re liars.

Crystal structures, kept here for reference >
~~~
No. 1
VASP calculation (PBE with a Hubbard U) on a relaxed MoHCl2O2 crystal.

Results
Raw total energy (eV/cell): -55.0

Unit cell a=9.3235 b=3.8437 c=7.4713 alpha=90.00 beta=90.00 gamma=90.00
Closest atoms and distances in Å follow each position.
Positions (direct):
Mo (0.0000, 0.1996, 0.0000)  2 O 1.70-1.81
Mo (0.5000, 0.8004, 0.5000)  2 O 1.70-1.81
H (0.0000, 0.2351, 0.3305)  1 Mo 2.47
H (0.5000, 0.7649, 0.8305)  1 Mo 2.47
Cl (0.2392, 0.2731, 0.0758)  1 Mo 2.32
Cl (0.2608, 0.7269, 0.5758)  1 Mo 2.32
Cl (0.7392, 0.7269, 0.5758)  1 Mo 2.32
Cl (0.7608, 0.2731, 0.0758)  1 Mo 2.32
O (0.0000, 0.2177, 0.7724)  1 Mo 1.70
O (0.0000, 0.7382, 0.0464)  1 Mo 1.81
O (0.5000, 0.2618, 0.5464)  1 Mo 1.81
O (0.5000, 0.7823, 0.2724)  1 Mo 1.70

=====

No. 2
VASP calculation (PBE with a Hubbard U) on a relaxed KMnF3 crystal.

Results
Raw total energy (eV/cell): -56.1

Unit cell a=6.0424 b=6.0424 c=6.0424 alpha=120.05 beta=120.05 gamma=89.92
Closest atoms and distances in Å follow each position.
Positions (direct):
K (0.2500, 0.7500, 0.5000)  12 F 2.96-3.08
K (0.7500, 0.2500, 0.5000)  12 F 2.96-3.08
Mn (0.0000, 0.0000, 0.0000)  6 F 2.14
Mn (0.5000, 0.5000, 0.0000)  6 F 2.14
F (0.2400, 0.7400, 0.9800)  2 Mn 2.14
F (0.2500, 0.2500, 0.0000)  2 Mn 2.14
F (0.2600, 0.2400, 0.5000)  2 Mn 2.14
F (0.7400, 0.7600, 0.5000)  2 Mn 2.14
F (0.7500, 0.7500, 0.0000)  2 Mn 2.14
F (0.7600, 0.2600, 0.0200)  2 Mn 2.14

=====

No. 3
VASP calculation (PBE with a Hubbard U) on a relaxed LiScW2O8 crystal.

Results
Raw total energy (eV/cell): -181.8

Unit cell a=7.5529 b=7.5529 c=5.0747 alpha=90.83 beta=90.83 gamma=100.43
Closest atoms and distances in Å follow each position.
Positions (direct):
Li (0.1671, 0.8329, 0.7500)  6 O 2.19-2.25
Li (0.8329, 0.1671, 0.2500)  6 O 2.19-2.25
Sc (0.3318, 0.6682, 0.2500)  6 O 2.10-2.16
Sc (0.6682, 0.3318, 0.7500)  6 O 2.10-2.16
W (0.1606, 0.3330, 0.7527)  4 O 1.83-1.99
W (0.3330, 0.1606, 0.2527)  4 O 1.83-1.99
W (0.6670, 0.8394, 0.7473)  4 O 1.83-1.99
W (0.8394, 0.6670, 0.2473)  4 O 1.83-1.99
O (0.0670, 0.6871, 0.3868)  1 W 1.83
O (0.0959, 0.1984, 0.0646)  2 W 1.91-2.08
O (0.1957, 0.5612, 0.9033)  1 W 1.85
O (0.1984, 0.0959, 0.5646)  2 W 1.91-2.08
O (0.3026, 0.4161, 0.4351)  2 W 1.99-2.18, 1 Sc 2.11
O (0.3129, 0.9330, 0.1132)  1 W 1.83
O (0.4161, 0.3026, 0.9351)  2 W 1.99-2.18, 1 Sc 2.11
O (0.4388, 0.8043, 0.5967)  1 W 1.85
O (0.5612, 0.1957, 0.4033)  1 W 1.85
O (0.5839, 0.6974, 0.0649)  2 W 1.99-2.18, 1 Sc 2.11
O (0.6871, 0.0670, 0.8868)  1 W 1.83
O (0.6974, 0.5839, 0.5649)  2 W 1.99-2.18, 1 Sc 2.11
O (0.8016, 0.9041, 0.4354)  2 W 1.91-2.08
O (0.8043, 0.4388, 0.0967)  1 W 1.85
O (0.9041, 0.8016, 0.9354)  2 W 1.91-2.08
O (0.9330, 0.3129, 0.6132)  1 W 1.83

=====

No. 4
VASP calculation (PBE with a Hubbard U) on a relaxed Tl2CrO4 crystal.

Results
Relative energy among the computed polymorphs (kcal/mol of atoms): 0.00
Raw total energy (eV/cell): -160.1

Unit cell a=8.0932 b=5.9738 c=11.2644 alpha=90.00 beta=90.00 gamma=90.00
~~~

I hate this game already.

“To be fair,” Rae pipes up. “We didn’t lie to be deceitful but to protect someone.”

“Yes,” Chul nods. “Sex, always use protection.”

I know he’s referencing Lucas and Grace and I want to punch him in the face so bad that my knuckles burn with the need for it, instead I just clench my jaw while Chul goes next. “Never have I ever kissed a guy.”

Everyone looks around while Jay casually like the boss he is just tosses back his shot and shrugs. “What?”

“Was he hot?” Kai just has to ask.

I chuckle under my breath while Jay nods.

Rae just shakes his head like what am I even going to do with these guys and Lucas says nothing, because unlike others there, we know the details more than anyone.

My heart sinks a bit.

This industry is tough.

Peoples insecurity are almost as dangerous as their ego. Insecurity makes people fight, ego makes them win, and in the end, you’re left on one of each side trying to remember why you’re so hell bent on being the one on top when you’re supposed to be partners in an unforgivable world that doesn’t even allow you to cry.

Jay goes next. “Never have I ever skipped practice even while sick.”

<<<
EuInAu | meta-GGA r2SCAN | optimized geometry

Calculated values
Total DFT energy (no corrections), eV per atom: -38.008
Space-group type: Pnma
DFT formation energy, eV per atom: -0.780

The structure in POSCAR format:
```
EuInAu
1.0
7.583 0.000 0.000
0.000 4.719 0.000
0.000 0.000 8.467
Eu In Au
4 4 4
Direct
0.026 0.250 0.184
0.474 0.750 0.684
0.526 0.250 0.316
0.974 0.750 0.816
0.156 0.250 0.565
0.344 0.750 0.065
0.656 0.250 0.935
0.844 0.750 0.435
0.224 0.750 0.384
0.276 0.250 0.884
0.724 0.750 0.116
0.776 0.250 0.616
```

~~~~~

[1]
First-principles (meta-GGA r2SCAN) data for a geometry-optimized La2Cu5Ni5 structure, as listed in the Materials Project.

a b c (Å): 3.938 5.081 8.744
angles (deg): 90.00 90.00 90.00
Fractional positions:
Cu 0.500 0.500 0.500
Cu 0.000 0.000 0.834
Cu 0.000 0.500 0.330
Cu 0.000 0.000 0.166
Cu 0.000 0.500 0.670
La 0.000 0.000 0.500
La 0.000 0.500 0.000
Ni 0.500 0.249 0.249
Ni 0.500 0.751 0.751
Ni 0.500 0.000 0.000
Ni 0.500 0.751 0.249
Ni 0.500 0.249 0.751

space group	Pmmm (47)
DFT total energy	-14.687	eV per atom
ΔE_f	-0.2175	eV per atom
size of the total moment	0.00	Bohr magnetons per cell



[2]
First-principles (meta-GGA r2SCAN) data for a geometry-optimized MnB2W2 structure, as listed in the Materials Project.

a b c (Å): 3.156 5.811 5.811
angles (deg): 90.00 90.00 90.00
Fractional positions:
W 0.500 0.178 0.678
W 0.500 0.822 0.322
W 0.500 0.322 0.178
W 0.500 0.678 0.822
B 0.000 0.613 0.113
B 0.000 0.887 0.613
B 0.000 0.387 0.887
B 0.000 0.113 0.387
Mn 0.000 0.500 0.500
Mn 0.000 0.000 0.000

space group	P4/mbm (127)
DFT total energy	-26.858	eV per atom
ΔE_f	-0.4354	eV per atom
size of the total moment	5.09	Bohr magnetons per cell



[3]
First-principles (meta-GGA r2SCAN) data for a geometry-optimized Mg3Au structure, as listed in the Materials Project.

a b c (Å): 8.028 8.028 8.509
angles (deg): 90.00 90.00 120.00
Fractional positions:
Mg 0.721 0.000 0.083
Mg 0.667 0.333 0.206
Mg 0.000 0.375 0.926
Mg 0.625 0.625 0.926
Mg 0.279 0.000 0.583
Mg 0.375 0.000 0.926
Mg 0.000 0.000 0.324
Mg 0.000 0.000 0.824
Mg 0.375 0.375 0.426
Mg 0.667 0.333 0.706
Mg 0.000 0.625 0.426
Mg 0.721 0.721 0.583
Mg 0.333 0.667 0.706
Mg 0.333 0.667 0.206
Mg 0.279 0.279 0.083
Mg 0.000 0.279 0.583
Mg 0.000 0.721 0.083
Mg 0.625 0.000 0.426
Au 0.329 0.329 0.754
Au 0.671 0.000 0.754
Au 0.000 0.329 0.254
Au 0.329 0.000 0.254
Au 0.671 0.671 0.254
Au 0.000 0.671 0.754

space group	P6_3cm (185)
energy above the most stable polymorph in this dataset	0.000	eV/atom
DFT total energy	-16.203	eV per atom
ΔE_f	-0.4300	eV per atom
size of the total moment	0.00	Bohr magnetons per cell



[4]
First-principles (meta-GGA r2SCAN) data for a geometry-optimized CeCo2 structure, as listed in the Materials Project.

a b c (Å): 4.947 4.947 4.947
angles (deg): 60.00 60.00 60.00
Fractional positions:
Co 0.500 0.000 0.500
Co 0.500 0.500 0.000
Co 0.500 0.500 0.500
Co 0.000 0.500 0.500
Ce 0.875 0.875 0.875
Ce 0.125 0.125 0.125

space group	Fd-3m (227)
>>>

Every member of TestME takes a shot, the rest of us basically stand there and peacock a bit.

“Never have I ever,” Eric looks between all of us. “Hooked up with a trainee.”

Jay takes a shot, Rae grumbles something under his breath, takes his shot, followed by Kai, Suho, Ji-Woo, and Kwan.